### Source
'''
# 1
One molecule with the formula C22H24N4O6S at a distorted geometry. Source: the OMol25 dataset; level of theory: ωB97M-V with the def2-TZVPD basis set.

Each line ends with the Mulliken charge.
Geometry (Å):
C: 1.8296 2.1231 -0.6074  -0.812
H: 0.9478 1.7050 -1.0996  0.122
O: 1.8601 1.7914 0.7665  -0.306
C: 0.9264 2.3318 1.5822  0.752
C: -0.1641 3.0772 1.1430  -0.300
C: -1.0351 3.6487 2.0523  -0.736
C: -0.8336 3.5069 3.4167  -0.659
C: 0.2283 2.7527 3.8703  -0.767
C: 1.1032 2.1492 2.9687  0.321
C: 2.1518 1.3046 3.4848  0.435
N: 2.5660 1.2213 4.7140  -0.373
N: 3.4745 0.2281 4.7715  -0.711
C: 3.5659 -0.2544 3.5717  0.454
N: 4.3504 -1.3039 3.1767  -0.031
C: 4.1661 -2.1113 2.0726  -0.243
O: 4.9953 -2.9291 1.7594  -0.612
C: 2.8792 -1.8818 1.3509  0.510
C: 2.8961 -1.5228 0.0082  -1.019
C: 1.7100 -1.2171 -0.6358  -1.012
C: 0.5212 -1.2699 0.0650  -0.145
C: 0.4869 -1.6833 1.3830  -0.483
C: 1.6678 -2.0020 2.0280  -0.211
H: 1.6540 -2.3184 3.0615  0.467
H: -0.4638 -1.7173 1.8919  0.593
S: -0.9999 -0.7703 -0.7499  1.986
O: -2.0141 -0.7047 0.2579  -0.784
O: -0.7044 0.4140 -1.5145  -0.576
N: -1.1341 -2.0684 -1.8104  0.264
C: -1.8326 -3.1874 -1.2196  -0.984
H: -1.3376 -3.4266 -0.2799  0.282
H: -2.8795 -2.9485 -1.0181  0.327
H: -1.7653 -4.0435 -1.8898  0.366
C: -1.4675 -1.7281 -3.1709  -1.540
H: -0.8518 -0.8614 -3.4126  0.475
H: -1.1922 -2.5624 -3.8220  0.489
C: -2.9636 -1.3693 -3.3538  0.638
C: -3.1748 -0.3507 -4.4780  -0.952
H: -4.1783 -0.4552 -4.8932  0.349
C: -3.0471 0.9723 -3.7239  -0.318
H: -1.9987 1.2308 -3.5778  -0.018
C: -3.6751 0.6232 -2.3761  -0.452
H: -4.7607 0.7915 -2.3851  0.385
H: -3.2309 1.1684 -1.5416  0.199
O: -3.4403 -0.7620 -2.1684  -0.469
H: -3.5578 1.7957 -4.2178  0.548
H: -2.4463 -0.4656 -5.2777  0.338
H: -3.5390 -2.2911 -3.5092  0.381
H: 1.6950 -0.9119 -1.6697  0.514
H: 3.8404 -1.4616 -0.5110  0.454
H: 5.1326 -1.5187 3.7834  0.301
O: 2.7776 0.3921 2.6940  0.030
H: 0.4065 2.6019 4.9229  0.512
H: -1.5093 3.9702 4.1181  0.411
H: -1.8783 4.2157 1.6874  0.411
H: -0.3468 3.1955 0.0877  0.448
H: 1.8595 3.2080 -0.7480  0.487
H: 2.7305 1.6797 -1.0285  0.261

Computed properties:
* multiplicity: 1
* molar mass: 472.52 g mol⁻¹
* F_max: 1.7 eV/Å
* HOMO: -8.2793 eV

# 2
One molecule with the formula C6H6 at a distorted geometry. Source: the OMol25 dataset; level of theory: ωB97M-V with the def2-TZVPD basis set.

Each line ends with the Mulliken charge.
Geometry (Å):
C: 0.0402 -2.0535 2.2755  0.201
C: 0.0538 -1.0326 1.6359  -0.452
C: 0.0623 0.2177 0.8630  -0.631
C: -0.4974 0.0528 -0.5738  -0.330
C: -0.3955 1.2166 -1.4440  -0.645
C: 0.0400 1.8097 -2.4015  -0.126
H: 0.0349 -2.9648 2.8343  0.397
H: 1.0850 0.6037 0.8055  0.306
H: -0.5028 0.9697 1.4380  0.280
H: 0.1409 -0.4596 -1.3111  0.242
H: -1.4707 -0.4520 -0.5638  0.350
H: 0.1687 2.5398 -3.1545  0.408

Computed properties:
* multiplicity: 1
* molar mass: 78.11 g mol⁻¹
* F_max: 2.0 eV/Å
* HOMO: -9.8916 eV

# 3
C25H25BeN2O5PS as an isolated structure at a distorted geometry. Source: the OMol25 dataset; level of theory: ωB97M-V with the def2-TZVPD basis set.

Each line ends with the Mulliken charge.
Geometry (Å):
Be: -1.2796 0.6253 0.2760  -1.453
O: -0.8361 4.1131 -0.7376  -0.795
C: -0.6501 3.0093 -0.2301  0.459
O: -1.4853 2.0276 -0.3371  -0.629
C: 0.5970 2.8353 0.6600  -0.882
P: 1.2421 1.1074 0.9861  0.849
C: 3.2237 1.7392 0.3629  0.300
C: 3.8534 2.4322 1.4062  -0.291
C: 5.2114 2.7056 1.4290  -0.653
C: 6.0272 2.2456 0.3972  -0.326
C: 5.4533 1.5064 -0.6274  -0.604
C: 4.0818 1.2621 -0.6417  -0.580
C: 1.1197 0.3129 -0.6905  0.694
C: 1.2204 1.0539 -1.8711  -0.476
C: 1.2277 0.4317 -3.1087  -0.779
C: 1.1643 -0.9520 -3.1967  -0.633
C: 1.1005 -1.7064 -2.0350  -0.405
C: 1.0859 -1.0765 -0.7963  -0.638
H: 0.2692 3.2168 1.6319  0.547
H: 1.3806 3.4947 0.2925  0.306
H: 3.2245 2.7644 2.2366  0.117
H: 5.6491 3.2696 2.2506  0.348
H: 7.0934 2.4526 0.4000  0.317
H: 6.0792 1.1301 -1.4351  0.342
H: 3.6706 0.6920 -1.4707  0.054
H: 1.3060 2.1310 -1.8230  0.380
H: 1.2756 1.0358 -4.0078  0.378
'''

### Brief
Transcribe the block earlier on unchanged.

### Solution
# 1
One molecule with the formula C22H24N4O6S at a distorted geometry. Source: the OMol25 dataset; level of theory: ωB97M-V with the def2-TZVPD basis set.

Each line ends with the Mulliken charge.
Geometry (Å):
C: 1.8296 2.1231 -0.6074  -0.812
H: 0.9478 1.7050 -1.0996  0.122
O: 1.8601 1.7914 0.7665  -0.306
C: 0.9264 2.3318 1.5822  0.752
C: -0.1641 3.0772 1.1430  -0.300
C: -1.0351 3.6487 2.0523  -0.736
C: -0.8336 3.5069 3.4167  -0.659
C: 0.2283 2.7527 3.8703  -0.767
C: 1.1032 2.1492 2.9687  0.321
C: 2.1518 1.3046 3.4848  0.435
N: 2.5660 1.2213 4.7140  -0.373
N: 3.4745 0.2281 4.7715  -0.711
C: 3.5659 -0.2544 3.5717  0.454
N: 4.3504 -1.3039 3.1767  -0.031
C: 4.1661 -2.1113 2.0726  -0.243
O: 4.9953 -2.9291 1.7594  -0.612
C: 2.8792 -1.8818 1.3509  0.510
C: 2.8961 -1.5228 0.0082  -1.019
C: 1.7100 -1.2171 -0.6358  -1.012
C: 0.5212 -1.2699 0.0650  -0.145
C: 0.4869 -1.6833 1.3830  -0.483
C: 1.6678 -2.0020 2.0280  -0.211
H: 1.6540 -2.3184 3.0615  0.467
H: -0.4638 -1.7173 1.8919  0.593
S: -0.9999 -0.7703 -0.7499  1.986
O: -2.0141 -0.7047 0.2579  -0.784
O: -0.7044 0.4140 -1.5145  -0.576
N: -1.1341 -2.0684 -1.8104  0.264
C: -1.8326 -3.1874 -1.2196  -0.984
H: -1.3376 -3.4266 -0.2799  0.282
H: -2.8795 -2.9485 -1.0181  0.327
H: -1.7653 -4.0435 -1.8898  0.366
C: -1.4675 -1.7281 -3.1709  -1.540
H: -0.8518 -0.8614 -3.4126  0.475
H: -1.1922 -2.5624 -3.8220  0.489
C: -2.9636 -1.3693 -3.3538  0.638
C: -3.1748 -0.3507 -4.4780  -0.952
H: -4.1783 -0.4552 -4.8932  0.349
C: -3.0471 0.9723 -3.7239  -0.318
H: -1.9987 1.2308 -3.5778  -0.018
C: -3.6751 0.6232 -2.3761  -0.452
H: -4.7607 0.7915 -2.3851  0.385
H: -3.2309 1.1684 -1.5416  0.199
O: -3.4403 -0.7620 -2.1684  -0.469
H: -3.5578 1.7957 -4.2178  0.548
H: -2.4463 -0.4656 -5.2777  0.338
H: -3.5390 -2.2911 -3.5092  0.381
H: 1.6950 -0.9119 -1.6697  0.514
H: 3.8404 -1.4616 -0.5110  0.454
H: 5.1326 -1.5187 3.7834  0.301
O: 2.7776 0.3921 2.6940  0.030
H: 0.4065 2.6019 4.9229  0.512
H: -1.5093 3.9702 4.1181  0.411
H: -1.8783 4.2157 1.6874  0.411
H: -0.3468 3.1955 0.0877  0.448
H: 1.8595 3.2080 -0.7480  0.487
H: 2.7305 1.6797 -1.0285  0.261

Computed properties:
* multiplicity: 1
* molar mass: 472.52 g mol⁻¹
* F_max: 1.7 eV/Å
* HOMO: -8.2793 eV

# 2
One molecule with the formula C6H6 at a distorted geometry. Source: the OMol25 dataset; level of theory: ωB97M-V with the def2-TZVPD basis set.

Each line ends with the Mulliken charge.
Geometry (Å):
C: 0.0402 -2.0535 2.2755  0.201
C: 0.0538 -1.0326 1.6359  -0.452
C: 0.0623 0.2177 0.8630  -0.631
C: -0.4974 0.0528 -0.5738  -0.330
C: -0.3955 1.2166 -1.4440  -0.645
C: 0.0400 1.8097 -2.4015  -0.126
H: 0.0349 -2.9648 2.8343  0.397
H: 1.0850 0.6037 0.8055  0.306
H: -0.5028 0.9697 1.4380  0.280
H: 0.1409 -0.4596 -1.3111  0.242
H: -1.4707 -0.4520 -0.5638  0.350
H: 0.1687 2.5398 -3.1545  0.408

Computed properties:
* multiplicity: 1
* molar mass: 78.11 g mol⁻¹
* F_max: 2.0 eV/Å
* HOMO: -9.8916 eV

# 3
C25H25BeN2O5PS as an isolated structure at a distorted geometry. Source: the OMol25 dataset; level of theory: ωB97M-V with the def2-TZVPD basis set.

Each line ends with the Mulliken charge.
Geometry (Å):
Be: -1.2796 0.6253 0.2760  -1.453
O: -0.8361 4.1131 -0.7376  -0.795
C: -0.6501 3.0093 -0.2301  0.459
O: -1.4853 2.0276 -0.3371  -0.629
C: 0.5970 2.8353 0.6600  -0.882
P: 1.2421 1.1074 0.9861  0.849
C: 3.2237 1.7392 0.3629  0.300
C: 3.8534 2.4322 1.4062  -0.291
C: 5.2114 2.7056 1.4290  -0.653
C: 6.0272 2.2456 0.3972  -0.326
C: 5.4533 1.5064 -0.6274  -0.604
C: 4.0818 1.2621 -0.6417  -0.580
C: 1.1197 0.3129 -0.6905  0.694
C: 1.2204 1.0539 -1.8711  -0.476
C: 1.2277 0.4317 -3.1087  -0.779
C: 1.1643 -0.9520 -3.1967  -0.633
C: 1.1005 -1.7064 -2.0350  -0.405
C: 1.0859 -1.0765 -0.7963  -0.638
H: 0.2692 3.2168 1.6319  0.547
H: 1.3806 3.4947 0.2925  0.306
H: 3.2245 2.7644 2.2366  0.117
H: 5.6491 3.2696 2.2506  0.348
H: 7.0934 2.4526 0.4000  0.317
H: 6.0792 1.1301 -1.4351  0.342
H: 3.6706 0.6920 -1.4707  0.054
H: 1.3060 2.1310 -1.8230  0.380
H: 1.2756 1.0358 -4.0078  0.378